# What to do
Restate only the last part of the data further down, starting with the line that has "0.2930".

# Excerpt
'''
1.
DFT (GGA-PBE) results for an optimized crystal structure of Y3SbTe.

Output
Space-group type = C2/m
E_form (uncorrected) = -0.748 eV/atom
Relative energy among the computed polymorphs = 0 meV per atom

Cell lengths 4.2995, 8.8795, 10.3872 Å; angles 109.26, 90.00, 104.02 degrees
With the nearest neighbours (Å) after each atom.
Fractional coordinates of all 10 atoms:
Te  0.1638  0.3271  0.8388  5 Y 3.00-3.19
Te  0.8362  0.6729  0.1612  5 Y 3.00-3.19
Y  0.1858  0.3713  0.5649  1 Te 3.00, 3 Sb 3.00-3.11
Y  0.9845  0.9691  0.8279  2 Sb 3.04, 1 Te 3.05
Y  0.6467  0.2930  0.0540  3 Te 3.08-3.19, 1 Sb 3.27
Y  0.0155  0.0309  0.1721  2 Sb 3.04, 1 Te 3.05
Y  0.8142  0.6287  0.4351  1 Te 3.00, 3 Sb 3.00-3.11
Y  0.3533  0.7070  0.9460  3 Te 3.08-3.19, 1 Sb 3.27
Sb  0.3768  0.7539  0.6466  6 Y 3.00-3.27
Sb  0.6232  0.2461  0.3534  6 Y 3.00-3.27



2.
DFT (GGA-PBE) results for an optimized crystal structure of Y2SbTe2.

Output
Space-group type = P4/mbm
E_form (uncorrected) = -1.084 eV/atom
Relative energy among the computed polymorphs = 0 meV per atom

Cell lengths 8.5163, 8.5163, 3.9711 Å; angles 90.00, 90.00, 90.00 degrees
With the nearest neighbours (Å) after each atom.
Fractional coordinates of all 10 atoms:
Y  0.1591  0.3409  0.0000  6 Te 3.13-3.23, 2 Sb 3.20
Y  0.8409  0.6591  0.0000  6 Te 3.13-3.23, 2 Sb 3.20
Y  0.6591  0.1591  0.0000  6 Te 3.13-3.23, 2 Sb 3.20
Y  0.3409  0.8409  0.0000  6 Te 3.13-3.23, 2 Sb 3.20
Te  0.3599  0.1401  0.5000  6 Y 3.13-3.23, 1 Te 3.37
Te  0.8599  0.3599  0.5000  6 Y 3.13-3.23, 1 Te 3.37
Te  0.1401  0.6401  0.5000  6 Y 3.13-3.23, 1 Te 3.37
Te  0.6401  0.8599  0.5000  6 Y 3.13-3.23, 1 Te 3.37
Sb  0.0000  0.0000  0.0000  4 Y 3.20
Sb  0.5000  0.5000  0.0000  4 Y 3.20



3.
DFT (GGA-PBE) results for an optimized crystal structure of YSbTe2.

Output
Space-group type = Pm
E_form (uncorrected) = -0.722 eV/atom

Cell lengths 4.3911, 4.2846, 6.9371 Å; angles 71.87, 90.00, 90.00 degrees
With the nearest neighbours (Å) after each atom.
Fractional coordinates of all 4 atoms:
Te  0.5000  0.2758  0.3344  4 Y 3.20-3.22, 1 Sb 3.29
Te  0.0000  0.0079  0.8532  4 Sb 3.06-3.08, 2 Y 3.27-3.29
Y  0.0000  0.7013  0.4772  6 Te 3.20-3.29, 2 Sb 3.22
Sb  0.5000  0.5150  0.8352  5 Te 3.06-3.29, 2 Y 3.22



4.
DFT (GGA-PBE) results for an optimized crystal structure of Y2SbTe.

Output
Space-group type = P4/mmm
E_form (uncorrected) = -1.281 eV/atom
Relative energy among the computed polymorphs = 3 meV per atom

Cell lengths 6.1895, 4.3731, 4.3777 Å; angles 90.01, 90.00, 90.00 degrees
With the nearest neighbours (Å) after each atom.
Fractional coordinates of all 4 atoms:
Y  0.5000  0.3750  0.3749  4 Te 3.09, 2 Sb 3.09
Y  0.0000  0.8749  0.8750  4 Sb 3.09, 2 Te 3.09
Sb  0.0000  0.3750  0.3751  6 Y 3.09
Te  0.5000  0.8751  0.8750  6 Y 3.09



5.
DFT (GGA-PBE) results for an optimized crystal structure of Y2SbTe.

Output
Space-group type = F-43m
E_form (uncorrected) = -0.343 eV/atom
Relative energy among the computed polymorphs = 942 meV per atom

Cell lengths 5.3749, 5.3749, 5.3749 Å; angles 60.00, 60.00, 60.00 degrees
With the nearest neighbours (Å) after each atom.
Fractional coordinates of all 4 atoms:
Sb  0.5000  0.5000  0.5000  4 Te 3.29, 4 Y 3.29
Y  0.2500  0.2500  0.2500  4 Sb 3.29, 4 Y 3.29
Y  0.0000  0.0000  0.0000  4 Te 3.29, 4 Y 3.29
Te  0.7500  0.7500  0.7500  4 Y 3.29, 4 Sb 3.29



6.
DFT (GGA-PBE) results for an optimized crystal structure of Y2SbTe.

Output
Space-group type = R3m
E_form (uncorrected) = -0.342 eV/atom
Relative energy among the computed polymorphs = 942 meV per atom

Cell lengths 10.1648, 10.1648, 10.1648 Å; angles 22.02, 22.02, 22.02 degrees
With the nearest neighbours (Å) after each atom.
Fractional coordinates of all 4 atoms:
Te  0.7449  0.7449  0.7449  3 Y 2.99
Y  0.2426  0.2426  0.2426  3 Sb 3.17
Y  0.0118  0.0118  0.0118  3 Te 2.99
Sb  0.5007  0.5007  0.5007  3 Y 3.17, 3 Te 3.47



7.
DFT (GGA-PBE) results for an optimized crystal structure of YSbTe2.

Output
Space-group type = I-42d
'''

# Worked solution
Y  0.6467  0.2930  0.0540  3 Te 3.08-3.19, 1 Sb 3.27
Y  0.0155  0.0309  0.1721  2 Sb 3.04, 1 Te 3.05
Y  0.8142  0.6287  0.4351  1 Te 3.00, 3 Sb 3.00-3.11
Y  0.3533  0.7070  0.9460  3 Te 3.08-3.19, 1 Sb 3.27
Sb  0.3768  0.7539  0.6466  6 Y 3.00-3.27
Sb  0.6232  0.2461  0.3534  6 Y 3.00-3.27



2.
DFT (GGA-PBE) results for an optimized crystal structure of Y2SbTe2.

Output
Space-group type = P4/mbm
E_form (uncorrected) = -1.084 eV/atom
Relative energy among the computed polymorphs = 0 meV per atom

Cell lengths 8.5163, 8.5163, 3.9711 Å; angles 90.00, 90.00, 90.00 degrees
With the nearest neighbours (Å) after each atom.
Fractional coordinates of all 10 atoms:
Y  0.1591  0.3409  0.0000  6 Te 3.13-3.23, 2 Sb 3.20
Y  0.8409  0.6591  0.0000  6 Te 3.13-3.23, 2 Sb 3.20
Y  0.6591  0.1591  0.0000  6 Te 3.13-3.23, 2 Sb 3.20
Y  0.3409  0.8409  0.0000  6 Te 3.13-3.23, 2 Sb 3.20
Te  0.3599  0.1401  0.5000  6 Y 3.13-3.23, 1 Te 3.37
Te  0.8599  0.3599  0.5000  6 Y 3.13-3.23, 1 Te 3.37
Te  0.1401  0.6401  0.5000  6 Y 3.13-3.23, 1 Te 3.37
Te  0.6401  0.8599  0.5000  6 Y 3.13-3.23, 1 Te 3.37
Sb  0.0000  0.0000  0.0000  4 Y 3.20
Sb  0.5000  0.5000  0.0000  4 Y 3.20



3.
DFT (GGA-PBE) results for an optimized crystal structure of YSbTe2.

Output
Space-group type = Pm
E_form (uncorrected) = -0.722 eV/atom

Cell lengths 4.3911, 4.2846, 6.9371 Å; angles 71.87, 90.00, 90.00 degrees
With the nearest neighbours (Å) after each atom.
Fractional coordinates of all 4 atoms:
Te  0.5000  0.2758  0.3344  4 Y 3.20-3.22, 1 Sb 3.29
Te  0.0000  0.0079  0.8532  4 Sb 3.06-3.08, 2 Y 3.27-3.29
Y  0.0000  0.7013  0.4772  6 Te 3.20-3.29, 2 Sb 3.22
Sb  0.5000  0.5150  0.8352  5 Te 3.06-3.29, 2 Y 3.22



4.
DFT (GGA-PBE) results for an optimized crystal structure of Y2SbTe.

Output
Space-group type = P4/mmm
E_form (uncorrected) = -1.281 eV/atom
Relative energy among the computed polymorphs = 3 meV per atom

Cell lengths 6.1895, 4.3731, 4.3777 Å; angles 90.01, 90.00, 90.00 degrees
With the nearest neighbours (Å) after each atom.
Fractional coordinates of all 4 atoms:
Y  0.5000  0.3750  0.3749  4 Te 3.09, 2 Sb 3.09
Y  0.0000  0.8749  0.8750  4 Sb 3.09, 2 Te 3.09
Sb  0.0000  0.3750  0.3751  6 Y 3.09
Te  0.5000  0.8751  0.8750  6 Y 3.09



5.
DFT (GGA-PBE) results for an optimized crystal structure of Y2SbTe.

Output
Space-group type = F-43m
E_form (uncorrected) = -0.343 eV/atom
Relative energy among the computed polymorphs = 942 meV per atom

Cell lengths 5.3749, 5.3749, 5.3749 Å; angles 60.00, 60.00, 60.00 degrees
With the nearest neighbours (Å) after each atom.
Fractional coordinates of all 4 atoms:
Sb  0.5000  0.5000  0.5000  4 Te 3.29, 4 Y 3.29
Y  0.2500  0.2500  0.2500  4 Sb 3.29, 4 Y 3.29
Y  0.0000  0.0000  0.0000  4 Te 3.29, 4 Y 3.29
Te  0.7500  0.7500  0.7500  4 Y 3.29, 4 Sb 3.29



6.
DFT (GGA-PBE) results for an optimized crystal structure of Y2SbTe.

Output
Space-group type = R3m
E_form (uncorrected) = -0.342 eV/atom
Relative energy among the computed polymorphs = 942 meV per atom

Cell lengths 10.1648, 10.1648, 10.1648 Å; angles 22.02, 22.02, 22.02 degrees
With the nearest neighbours (Å) after each atom.
Fractional coordinates of all 4 atoms:
Te  0.7449  0.7449  0.7449  3 Y 2.99
Y  0.2426  0.2426  0.2426  3 Sb 3.17
Y  0.0118  0.0118  0.0118  3 Te 2.99
Sb  0.5007  0.5007  0.5007  3 Y 3.17, 3 Te 3.47



7.
DFT (GGA-PBE) results for an optimized crystal structure of YSbTe2.

Output
Space-group type = I-42d